## Contents
/*
1.
113
Properties=species:S:1:pos:R:3:lowdin_charge:R:1 method="wB97M-V/def2-TZVPD" homo_lumo_gap_ev=8.3 spin_multiplicity=1 energy_ha=-6147.88732 charge=0
C 3.365 0.061 -0.804 -0.062
C 2.362 1.166 -1.088 -0.204
O 1.381 1.178 -0.048 0.054
B 0.063 1.378 -0.296 -0.737
O -0.308 2.290 -1.251 0.190
C -1.059 0.521 0.499 -0.182
N -0.918 -0.890 0.144 0.019
C -0.505 -1.072 -1.218 -0.298
C -1.355 -0.792 -2.286 0.013
C -0.892 -1.034 -3.573 -0.041
C 0.381 -1.556 -3.748 -0.051
C 1.149 -1.793 -2.614 -0.125
N 0.721 -1.556 -1.379 0.157
C -1.965 -1.845 0.478 -0.327
C -3.403 -1.384 0.369 -0.010
F -1.725 -2.362 1.756 -0.015
C -0.896 0.778 2.027 -0.631
S -0.793 2.579 2.105 0.876
C 0.314 -0.006 2.581 -0.139
C 1.325 0.640 3.545 -0.215
C 2.679 1.049 2.926 -0.186
C 2.853 2.554 2.723 -0.202
C 4.319 3.025 2.578 -0.182
C 4.708 3.636 1.214 -0.210
C 5.366 5.005 1.401 -0.203
C 5.707 5.839 0.141 -0.194
C 5.665 5.151 -1.225 -0.190
C 6.919 4.322 -1.474 -0.244
O 6.875 3.540 -2.649 -0.181
C 6.091 2.380 -2.522 -0.116
O -2.130 0.202 2.602 -0.389
C -2.862 0.634 3.627 -1.703
Br -4.015 -0.898 4.079 0.585
I -4.231 2.265 3.124 0.717
I -1.790 1.128 5.442 0.853
H 3.818 -0.316 -1.719 0.076
H 2.843 -0.776 -0.336 0.060
H 4.129 0.396 -0.103 0.071
H 1.887 1.047 -2.063 0.117
H 2.862 2.139 -1.077 0.108
H -1.256 2.446 -1.278 0.107
H -2.033 0.948 0.216 0.139
H -2.350 -0.394 -2.148 0.098
H -1.527 -0.810 -4.420 0.113
H 0.764 -1.769 -4.736 0.103
H 2.149 -2.202 -2.705 0.111
H -1.816 -2.688 -0.202 0.146
H -3.601 -0.394 0.763 0.063
H -4.030 -2.077 0.935 0.089
H -3.715 -1.458 -0.670 0.043
H -0.457 2.730 3.388 -0.143
H -0.123 -0.877 3.069 0.116
H 0.861 -0.400 1.725 0.108
H 0.924 1.505 4.071 0.028
H 1.531 -0.102 4.318 0.106
H 2.828 0.525 1.980 0.094
H 3.465 0.730 3.616 0.109
H 2.405 3.076 3.575 0.105
H 2.292 2.885 1.845 0.087
H 4.989 2.196 2.814 0.107
H 4.496 3.790 3.337 0.099
H 5.395 2.961 0.696 0.095
H 3.824 3.746 0.582 0.099
H 6.272 4.894 2.002 0.111
H 4.674 5.592 2.010 0.106
H 6.727 6.224 0.245 0.105
H 5.057 6.714 0.111 0.103
H 4.751 4.575 -1.375 0.097
H 5.664 5.937 -1.985 0.115
H 7.756 5.007 -1.616 0.126
H 7.158 3.688 -0.610 0.118
H 5.020 2.602 -2.555 0.075
H 6.318 1.850 -1.591 0.085
H 6.342 1.726 -3.356 0.089
C -8.110 0.335 0.661 -0.006
C -7.516 0.698 -0.669 -0.301
C -8.018 -0.129 -1.837 -0.066
O -6.884 -0.125 -2.726 0.052
C -5.781 0.037 -1.969 -0.568
O -4.666 -0.126 -2.359 0.130
O -6.106 0.371 -0.709 0.090
H -9.166 0.603 0.690 0.096
H -8.027 -0.740 0.828 0.085
H -7.602 0.829 1.488 0.084
H -7.615 1.765 -0.883 0.159
H -8.887 0.285 -2.338 0.143
H -8.216 -1.163 -1.543 0.123
C 1.498 -3.923 1.308 -0.019
C 2.833 -4.484 0.908 -0.325
C 3.493 -5.434 1.886 -0.092
O 4.886 -5.241 1.605 0.060
C 5.039 -3.989 1.107 -0.570
O 6.083 -3.454 0.934 0.165
O 3.832 -3.444 0.837 0.076
H 0.732 -4.699 1.290 0.094
H 1.540 -3.497 2.312 0.092
H 1.212 -3.126 0.623 0.059
H 2.777 -4.944 -0.084 0.157
H 3.228 -6.478 1.742 0.137
H 3.303 -5.142 2.921 0.138
C -4.020 -3.573 -2.743 -0.012
C -5.402 -4.033 -2.363 -0.306
C -6.554 -3.313 -3.035 -0.073
O -7.596 -3.428 -2.052 0.049
C -7.007 -3.549 -0.836 -0.572
O -7.570 -3.447 0.204 0.164
O -5.679 -3.743 -0.978 0.084
H -3.801 -3.857 -3.772 0.096
H -3.935 -2.488 -2.648 0.059
H -3.276 -4.028 -2.090 0.090
H -5.503 -5.114 -2.494 0.158
H -6.875 -3.757 -3.972 0.142
H -6.335 -2.251 -3.183 0.117

2.
99
Properties=species:S:1:pos:R:3:lowdin_spin:R:1 method="wB97M-V/def2-TZVPD" homo_lumo_gap_ev="5.1 / 5.8" spin_multiplicity=4 energy_ha=-3460.47468 charge=+3
C 3.204 0.288 -0.278 0.042
C 2.191 0.001 -2.393 0.021
C 4.464 0.046 -0.810 0.121
C 3.476 -0.079 -2.992 0.137
C 4.606 -0.059 -2.198 0.013
H 5.310 -0.026 -0.134 0.005
H 3.515 -0.214 -4.074 0.004
H 5.596 -0.146 -2.640 -0.002
N 2.114 0.385 -1.069 0.082
P 1.533 1.579 1.474 -0.037
P -0.630 -0.518 -2.337 -0.014
C 2.952 0.428 1.210 -0.001
H 2.687 -0.550 1.648 0.001
H 3.849 0.775 1.733 -0.001
C 0.984 -0.354 -3.030 0.422
H 1.049 -0.480 -4.113 0.012
C -0.863 -2.431 -2.698 0.034
C -1.905 0.461 -3.420 0.003
C 0.919 1.277 3.238 -0.003
*/

## Activity
Find the line earlier on that holds "-0.709 0.090", then repeat that line and all lines after it there, please.

## Done
O -6.106 0.371 -0.709 0.090
H -9.166 0.603 0.690 0.096
H -8.027 -0.740 0.828 0.085
H -7.602 0.829 1.488 0.084
H -7.615 1.765 -0.883 0.159
H -8.887 0.285 -2.338 0.143
H -8.216 -1.163 -1.543 0.123
C 1.498 -3.923 1.308 -0.019
C 2.833 -4.484 0.908 -0.325
C 3.493 -5.434 1.886 -0.092
O 4.886 -5.241 1.605 0.060
C 5.039 -3.989 1.107 -0.570
O 6.083 -3.454 0.934 0.165
O 3.832 -3.444 0.837 0.076
H 0.732 -4.699 1.290 0.094
H 1.540 -3.497 2.312 0.092
H 1.212 -3.126 0.623 0.059
H 2.777 -4.944 -0.084 0.157
H 3.228 -6.478 1.742 0.137
H 3.303 -5.142 2.921 0.138
C -4.020 -3.573 -2.743 -0.012
C -5.402 -4.033 -2.363 -0.306
C -6.554 -3.313 -3.035 -0.073
O -7.596 -3.428 -2.052 0.049
C -7.007 -3.549 -0.836 -0.572
O -7.570 -3.447 0.204 0.164
O -5.679 -3.743 -0.978 0.084
H -3.801 -3.857 -3.772 0.096
H -3.935 -2.488 -2.648 0.059
H -3.276 -4.028 -2.090 0.090
H -5.503 -5.114 -2.494 0.158
H -6.875 -3.757 -3.972 0.142
H -6.335 -2.251 -3.183 0.117

2.
99
Properties=species:S:1:pos:R:3:lowdin_spin:R:1 method="wB97M-V/def2-TZVPD" homo_lumo_gap_ev="5.1 / 5.8" spin_multiplicity=4 energy_ha=-3460.47468 charge=+3
C 3.204 0.288 -0.278 0.042
C 2.191 0.001 -2.393 0.021
C 4.464 0.046 -0.810 0.121
C 3.476 -0.079 -2.992 0.137
C 4.606 -0.059 -2.198 0.013
H 5.310 -0.026 -0.134 0.005
H 3.515 -0.214 -4.074 0.004
H 5.596 -0.146 -2.640 -0.002
N 2.114 0.385 -1.069 0.082
P 1.533 1.579 1.474 -0.037
P -0.630 -0.518 -2.337 -0.014
C 2.952 0.428 1.210 -0.001
H 2.687 -0.550 1.648 0.001
H 3.849 0.775 1.733 -0.001
C 0.984 -0.354 -3.030 0.422
H 1.049 -0.480 -4.113 0.012
C -0.863 -2.431 -2.698 0.034
C -1.905 0.461 -3.420 0.003
C 0.919 1.277 3.238 -0.003